I personally quite like the vibe that the Blue Archive subreddit has. The comments under every fanarts consists of combinations of horny, funny and wholesome factor. I imagine by the nature of them being on reddit, completely NSFW fanarts and stuff is completely banned. Should straight up porn be allowed here or those should go to the lewd loli community on burggit?

I can’t decide so everything goes for now as long as it doesn’t break burggit’s rules. Maybe I’ll ask this again when this community grows further if that ever happens.

I am not a guide maker and it seems like most of the helpful stuff is still either on reddit or discord but I’ll try my best to help if I can (I’m only one month in at level 57 myself lol).

  • @kaniman
    9 months ago

    deleted by creator

    • Kusa MowerOPM
      1 year ago

      I propose the community to give more focus on the news, gameplay, guide, strategy, and discussion. While I do love cunny art😭, the subreditt, most of the time is filled with fanarts, and it makes everything else kinda pushed down. Once again, the fanarts aren’t the problem. It’s the quantity of it that overshadows everything else.

      Yeah I agree with this. But I guess it’s the nature of the community surrounding the game so far. Guides are usually a one time thing since we really can’t do much with the game. News are rare.

      I am not against those stuff. Go ahead and post them and maybe in the meantime we’ll figure out the best way to do this. I don’t know what to do with the sheer amount of fanart posts if we ever grow big (lol). For now though, we’re most likely fine.

      As for nsfw art, It would be better to make another community for it. Because the nsfw arts will definitely overweight the sfw arts.

      I’m thinking along the lines of sexual acts to belong in somewhere like c/cunny or similar whereas stuff like revealing clothes (swimsuit, alternate outfits, etc.). However, I need more input on this and maybe a vote sometimes in the future.

  • @Rosyuo
    41 year ago

    I’m of the opinion there should be a split of SFW and NSFW/porn stuff (maybe bluearchiveNSFW?).
    Blue Archive has an abundance of both, but I think it’ll be hard to highlight the gems of either, if mixed

    I also suggest there should be a sticked event/raid/JFD sticky for Q&A, if we even have that many BA players. And when Vol F releases in about a month, maybe a lore thread.
    PVP only changes once or twice a year, but meta can shift based on units and the bracket you’re in

  • Nobu
    41 year ago

    To bad its blocked in some regions (like Japan, some parts of EU, vietnam, etc).

    • Kusa MowerOPM
      21 year ago

      Wdym by Japan? Japan has their own version which is ahead of global by 6 months. But yeah, not available in those other regions you listed. China coming soon.

      • Nobu
        1 year ago

-- Inserted here: data records --
'''
*one*
# Tc3Mo GGA-PBE relaxed
data_Tc3Mo
_chemical_formula_sum 'Tc3 Mo1'
_symmetry_space_group_name_H-M 'P m -3 m'
_symmetry_Int_Tables_number 221
_symmetry_space_group_name_Hall '-P 4 2 3'
_cell_length_a 3.9143
_cell_length_b 3.9143
_cell_length_c 3.9143
_cell_angle_alpha 90.00
_cell_angle_beta 90.00
_cell_angle_gamma 90.00
loop_
_atom_site_label
_atom_site_type_symbol
_atom_site_fract_x
_atom_site_fract_y
_atom_site_fract_z
Tc1 Tc 0.0000 0.0000 0.5000
Mo1 Mo 0.5000 0.5000 0.5000
# crystal system = cubic



*two*
# Tc3Mo GGA-PBE relaxed
data_Tc3Mo
_chemical_formula_sum 'Tc3 Mo1'
_symmetry_space_group_name_H-M 'P -6 m 2'
_symmetry_Int_Tables_number 187
_symmetry_space_group_name_Hall 'P -6 2'
_cell_length_a 2.7719
_cell_length_b 2.7719
_cell_length_c 8.9880
_cell_angle_alpha 90.00
_cell_angle_beta 90.00
_cell_angle_gamma 120.00
loop_
_atom_site_label
_atom_site_type_symbol
_atom_site_fract_x
_atom_site_fract_y
_atom_site_fract_z
Tc1 Tc 0.0000 0.0000 0.0000
Tc2 Tc 0.3333 0.6667 0.2427
Mo1 Mo 0.0000 0.0000 0.5000
# crystal system = hexagonal



Which of them is the most stable? Correct choice: *two*.

=====

120
Lattice="-5.2738 -4.2956 -5.9172 8.7687 -1.9153 0.4432 -4.1279 -15.8712 15.2009" Properties=species:S:1:pos:R:3 comment="Na9Mg5NbSi3S6O36, relaxed, DFT PBE-GGA" ef_ev_per_atom=-2.470 magnetic_moment_mub_per_fu=0.00 sg="No. 9" pbc="T T T"
Na -4.3474 -6.5863 -0.1379
Na 0.0430 -6.2507 1.7134
Na -0.5350 -9.4240 -1.8797
Na -0.8098 -15.9022 7.7282
Na -5.1553 -16.7394 5.7970
Na -4.9324 -13.3173 9.1219
Na -1.0225 -11.0801 7.1273
Na 2.4449 -2.0013 1.1015
Na -3.0700 -19.8767 8.4758
Na -7.1394 -17.6302 9.6260
Na -3.0268 -8.0259 4.3241
Na 0.3931 -10.8014 2.4452
Na -1.9384 -7.9675 7.6079
Na 0.0517 -0.0921 -0.0754
Na -4.0841 -16.7484 8.7565
Na -1.8864 -8.7039 1.3061
Na 3.5450 -5.3447 0.6366
Na 1.5455 -13.2278 8.3094
Mg -1.4599 -5.6093 5.2368
Mg -8.6928 -17.7553 7.0376
Mg 0.6985 -16.4153 4.5314
Mg 2.6817 -8.5455 -3.1596
Mg -3.4616 -14.3947 6.5216
Mg -1.2859 -6.3681 -0.9534
Mg -4.6433 -19.1193 11.1369
Mg -2.5691 -11.1754 3.5479
Mg 3.9605 -2.9756 -1.4030
Mg 1.9222 -10.8904 6.2261
Nb 2.7120 -7.7237 3.0514
Nb 0.7545 -15.5726 10.7712
Si -2.5713 -5.2581 2.0659
Si 1.4163 -8.4497 -0.1008
Si -2.1030 -17.5708 5.8667
Si -6.8045 -14.9606 7.2324
Si -0.8329 -15.4944 13.9981
Si -0.3104 -8.8144 4.6681
S 1.5307 -4.5137 3.9114
S -2.0681 -13.6996 9.7896
S -4.5618 -14.0408 3.3207
S -4.0222 -10.9078 6.6754
S -0.4120 -13.3219 5.1890
S 0.1019 -6.6488 -4.1506
S -3.5247 -4.2481 -2.6826
S 0.6275 -3.5595 -0.7731
S -1.2600 -18.5233 10.5761
S 2.8616 -17.8483 12.4217
S 3.3783 -11.1730 3.0853
S 3.8708 -8.0896 6.4168
O -2.0949 -5.9918 3.4215
O 1.3181 -10.0092 0.2959
O -4.7434 -9.3291 -1.0798
O -2.8052 -14.0048 11.0111
O -1.5693 -18.6156 6.9724
O -7.2860 -16.4746 7.5132
O 1.3200 -16.2138 6.3635
O -1.8644 -12.2593 9.5503
O 4.1944 -12.9363 10.5981
O 2.4610 -8.0937 -1.2629
O 0.9760 -3.6913 2.8210
O 6.6325 -5.6321 2.4079
O -4.2345 -14.6158 4.6479
O -4.0598 -12.3715 6.9476
'''

        Yeah exactly what I meant (Since talking about Global release). Sorry i should have clarrified.

  • @anarch3
    8 months ago

    deleted by creator

    • Kusa MowerOPM
      11 year ago

[Records of crystals, as found in the file]
(1)
# Nb4GeSe8, optimized geometry, DFT r2SCAN
data_Nb4GeSe8
_cell_length_a 27.828
_cell_length_b 3.518
_cell_length_c 6.073
_cell_angle_alpha 90.00
_cell_angle_beta 102.50
_cell_angle_gamma 90.00
_space_group_name_H-M_alt 'C 1 2/m 1'
_space_group_IT_number 12
loop_
_space_group_symop_operation_xyz
'x,y,z'
'-x,-y,-z'
'-x,y,-z'
'x,-y,z'
'x+1/2,y+1/2,z'
'-x+1/2,-y+1/2,-z'
'-x+1/2,y+1/2,-z'
'x+1/2,-y+1/2,z'
loop_
_atom_site_label
_atom_site_type_symbol
_atom_site_fract_x
_atom_site_fract_y
_atom_site_fract_z
Nb1 Nb 0.131 0.000 0.121
Nb2 Nb 0.132 0.500 0.644
Ge1 Ge 0.000 0.500 0.500
Se1 Se 0.068 0.500 0.906
Se2 Se 0.070 0.000 0.402
Se3 Se 0.191 0.000 0.522
Se4 Se 0.193 0.500 0.028
# crystal system	monoclinic

***

(2)
# Nb3GeTe6, optimized geometry, DFT r2SCAN
data_Nb3GeTe6
_cell_length_a 6.524
_cell_length_b 14.604
_cell_length_c 11.714
_cell_angle_alpha 90.00
_cell_angle_beta 90.00
_cell_angle_gamma 90.00
_space_group_name_H-M_alt 'P n m a'
_space_group_IT_number 62
loop_
_space_group_symop_operation_xyz
'x,y,z'
'-x,-y,-z'
'-x+1/2,-y,z+1/2'
'x+1/2,y,-z+1/2'
'x+1/2,-y+1/2,-z+1/2'
'-x+1/2,y+1/2,z+1/2'
'-x,y+1/2,-z'
'x,-y+1/2,z'
loop_
_atom_site_label
_atom_site_type_symbol
_atom_site_fract_x
_atom_site_fract_y
_atom_site_fract_z
Nb1 Nb 0.034 0.250 0.186
Nb2 Nb 0.173 0.750 0.335
Nb3 Nb 0.197 0.750 0.030
Ge1 Ge 0.075 0.750 0.576
Te1 Te 0.136 0.125 0.995
Te2 Te 0.148 0.122 0.682
Te3 Te 0.213 0.121 0.341
# crystal system	orthorhombic

***

(3)
# U2Nb3Ge4, optimized geometry, DFT r2SCAN
data_U2Nb3Ge4
_cell_length_a 7.022
_cell_length_b 13.604
_cell_length_c 7.234
_cell_angle_alpha 90.00
_cell_angle_beta 90.00
_cell_angle_gamma 90.00
_space_group_name_H-M_alt 'P n m a'
_space_group_IT_number 62
loop_
_space_group_symop_operation_xyz
'x,y,z'
'-x,-y,-z'
'-x+1/2,-y,z+1/2'
'x+1/2,y,-z+1/2'
'x+1/2,-y+1/2,-z+1/2'
'-x+1/2,y+1/2,z+1/2'
'-x,y+1/2,-z'
'x,-y+1/2,z'
loop_
_atom_site_label
_atom_site_type_symbol
_atom_site_fract_x
_atom_site_fract_y
_atom_site_fract_z
U1 U 0.004 0.092 0.168
Nb1 Nb 0.161 0.625 0.328
Nb2 Nb 0.167 0.250 0.506
Ge1 Ge 0.041 0.250 0.872
Ge2 Ge 0.170 0.044 0.540
Ge3 Ge 0.194 0.750 0.633
# crystal system	orthorhombic

***

(4)
# Y2Nb3Ge4, optimized geometry, DFT r2SCAN
data_Y2Nb3Ge4
_cell_length_a 7.003
_cell_length_b 13.566
_cell_length_c 7.192
_cell_angle_alpha 90.00
_cell_angle_beta 90.00
_cell_angle_gamma 90.00
_space_group_name_H-M_alt 'P n m a'
_space_group_IT_number 62
loop_
_space_group_symop_operation_xyz
'x,y,z'
'-x,-y,-z'
'-x+1/2,-y,z+1/2'
'x+1/2,y,-z+1/2'
'x+1/2,-y+1/2,-z+1/2'
'-x+1/2,y+1/2,z+1/2'
'-x,y+1/2,-z'
'x,-y+1/2,z'
loop_
_atom_site_label
_atom_site_type_symbol
_atom_site_fract_x
_atom_site_fract_y
_atom_site_fract_z
Y1 Y 0.003 0.095 0.174
Nb1 Nb 0.160 0.627 0.328
Nb2 Nb 0.164 0.250 0.513

      By “tasteful lewds”, “cute porn” and “nothing too hardcore”, do you mean stuff like just nudes/swimsuits/other suggestive art? No inherent sexual acts like penetration and the like?

      I wasn’t there when r/lolicons was a thing so I’m trying to understand your point of view.

  • @Rubbed9433
    31 year ago

    Nice to see a Blue Archive community here. I don’t mind having “straight up porn” contents here but I’d also like to see discussions about the game, whether it’s about the story, characters, gameplay, or fan contents.

  • @BurgerA
    31 year ago

    Can always use lewd. Since it’s a general purpose porn place.

    • Kusa MowerOPM
      1 year ago

      Point taken. By the way, how does media uploads work here? Direct image upload is on burggit’s servers? Is there a file size limit? Can we upload videos? I’m thinking of banning imgur links because they’re no longer NSFW friendly and them removing stuff if they’re uploaded anonymously now. Image/video from other sources (catbox/others which I don’t know about) still doesn’t work right?

      Also, how many sticky post can each community have? Still learning about lemmy myself. Thanks in advance :D

      • @BurgerA
        41 year ago

        Yes they can be directly uploaded. There’s a 40MB filesize limit. There was a bug that made it so that uploading certain videos would make it erroneously time out. I’m not sure if that’s been fixed since the 0.18.0 release. I never tested it.

        That 40MB filesize limit “may” change down the line depending on if we get a lot more traffic. This is all being stored on my server box.

        Not sure if there’s a limit to pinned posts in a community. I don’t see why there wouldn’t be but you never know.

        • @BurgerA
          31 year ago

          Looked through the code. The 10s timeout is still present, so it really depends on how fast your connection is. I was able to manage to squeeze a 15MB video through. But anything more than 10s and then the backend will hit timeout errors. We’ll be keeping somewhat of an eye on this issue in the meantime: https://github.com/LemmyNet/lemmy/issues/2460 .

          @Disabled@burggit.moe is working on deploying a server meant to solely store videos. To embed them you do ![](https://yourvideo.link/here)

Unrelated to this entry: records of crystals:
A relaxed Cs2NaScI6 crystal. Source: the Materials Project database, functional PBE.

Cell: 8.6035 8.6035 8.6035 Å, 60.00 60.00 60.00°
Fractional coordinates of all 10 atoms:
I 0.2384 0.7616 0.7616
I 0.7616 0.7616 0.2384
Cs 0.7500 0.7500 0.7500
I 0.7616 0.2384 0.7616
I 0.7616 0.2384 0.2384
I 0.2384 0.2384 0.7616
Na 0.5000 0.5000 0.5000
I 0.2384 0.7616 0.2384
Sc 0.0000 0.0000 0.0000
Cs 0.2500 0.2500 0.2500

Properties
Crystal system: cubic



A relaxed Cs2NaTaI6 crystal. Source: the Materials Project database, functional PBE.

Cell: 8.5234 8.5234 8.5234 Å, 60.00 60.00 60.00°
Fractional coordinates of all 10 atoms:
Cs 0.2500 0.2500 0.2500
I 0.2363 0.7637 0.7637
I 0.7637 0.2363 0.2363
Na 0.5000 0.5000 0.5000
Ta 0.0000 0.0000 0.0000
I 0.2363 0.2363 0.7637
I 0.7637 0.2363 0.7637
I 0.2363 0.7637 0.2363
Cs 0.7500 0.7500 0.7500
I 0.7637 0.7637 0.2363

Properties
Crystal system: cubic



A relaxed Cs2NaYI6 crystal. Source: the Materials Project database, functional PBE.

Cell: 8.7657 8.7657 8.7657 Å, 60.00 60.00 60.00°
Fractional coordinates of all 10 atoms:
Cs 0.2500 0.2500 0.2500
Y 0.0000 0.0000 0.0000
I 0.7558 0.2442 0.2442
I 0.2442 0.7558 0.7558
Na 0.5000 0.5000 0.5000
I 0.7558 0.2442 0.7558
Cs 0.7500 0.7500 0.7500
I 0.2442 0.2442 0.7558
I 0.2442 0.7558 0.2442
I 0.7558 0.7558 0.2442

Properties
Crystal system: cubic



A relaxed CsNb6I11 crystal. Source: the Materials Project database, functional PBE.

Cell: 11.2785 11.2785 12.1499 Å, 90.00 90.00 120.00°
Fractional coordinates of all 36 atoms:
I 0.3772 0.0262 0.8414
Nb 0.8050 0.4822 0.8472
I 0.6490 0.0262 0.6586
I 0.2841 0.2841 0.0000
Nb 0.6772 0.4822 0.6528
I 0.6667 0.3333 0.0421
Nb 0.4822 0.8050 0.1528
Nb 0.3228 0.5178 0.1528
Cs 0.0000 0.0000 0.7500
Nb 0.6772 0.1950 0.8472
Nb 0.8050 0.3228 0.6528
Nb 0.5178 0.3228 0.8472
I 0.6667 0.3333 0.4579
I 0.9738 0.6228 0.6586
I 0.3333 0.6667 0.5421
I 0.0262 0.6490 0.3414
I 0.6228 0.9738 0.3414
I 0.3333 0.6667 0.9579
I 0.7159 0.7159 0.5000
I 0.3510 0.9738 0.1586
Nb 0.4822 0.6772 0.3472
I 0.0000 0.7159 0.0000
Cs 0.0000 0.0000 0.2500
Nb 0.3228 0.8050 0.3472
I 0.6490 0.6228 0.8414
Nb 0.1950 0.5178 0.3472
I 0.2841 0.0000 0.5000
I 0.9738 0.3510 0.8414
I 0.0262 0.3772 0.1586
I 0.6228 0.6490 0.1586
Nb 0.5178 0.1950 0.6528
I 0.7159 0.0000 0.0000
I 0.0000 0.2841 0.5000
Nb 0.1950 0.6772 0.1528
I 0.3772 0.3510 0.6586
I 0.3510 0.3772 0.3414

Properties
Crystal system: hexagonal



A relaxed Cs2I4O11 crystal. Source: the Materials Project database, functional PBE.

Cell: 7.4298 7.4298 14.1869 Å, 90.00 90.00 120.00°
Fractional coordinates of all 34 atoms:
O 0.6670 0.6087 0.8274
O 0.8852 0.2300 0.1936
Cs 0.3333 0.6667 0.5145
O 0.0000 0.0000 0.8161
O 0.0924 0.8395 0.0086
I 0.0000 0.0000 0.5671
Cs 0.6667 0.3333 0.0145
O 0.0584 0.6670 0.3274
I 0.0000 0.0000 0.0671
O 0.7700 0.6552 0.1936
I 0.8536 0.1864 0.3196
I 0.1864 0.3328 0.8196
O 0.3448 0.1148 0.1936
I 0.6672 0.8536 0.8196
O 0.7471 0.9076 0.0086
I 0.3328 0.1464 0.3196
O 0.3333 0.6667 0.8360
Cs 0.6667 0.3333 0.6443

  • @slimegrail
    21 year ago

    I like BA and play it on and off and don’t mind NSFW mixed with strats.

  • Sandworm-7's hatbox
    21 year ago

    Yes, it’s finally appeared!

    I agree with @kaniman that the r*ddit sub is oversaturated with art. But yeah, not much else to discuss usually. Feels like I kinda insulted the game unintentionally lol. I do like the (non-lewd) doujin works though. And memes too.

    I don’t mind the NSFW, but we have other NSFW communities for a reason, no? Cross-posting, maybe. Also a reminder that !lewd exists for the larger characters.